
I hear ya. Just the other day I was leaving a NAMBLA meeting with some pedo’s I like to get coffee with. We walk into a handful of protestors and one calls me a molesting piece of shit! It’s like, hello lady - don’t assume that just because I’m leaving a meeting of the National Association of Man Boy Love with 3 well

“Freedom of speech is more important than what you believe to be considered decency. Your values are not good or bad. They are personal and you aren ebtitled to them. Your values will not be shared by everyone and you cant silence opposing opinions or force people to believe something.”

“you think im a bigot because i

How many times have you read The Fountainhead, exactly?

Lists no examples

“See, we dont need to have a big liberal ’collective cry’ or an article talking about how we should feel bad for black people.”

That’s your take? There’s a healthy amount of projection in it, you feeling ok? I’m not sure how basic human decency became a discussion about political ideology, despite what idiocy Trump’s

“See, that’s the kind of trollish comment I usually ignore. I’ll let this one be an example.”

In what way is it a troll? It’s literally all the article was about. Companies are constantly looking and experimenting with ways to curb harassment and abuse on their platforms. As for complaining about trolls on the internet

You suck your mothers cock with that mouth?

I can’t believe that it’s September, 2016 and there are still assholes with that fucking scene/Bieber haircut.

Both that post and the one linked here are by the same person. In both posts, Richmond flows back and forth when describing Alexis’ gender throughout Alexis’s life, referring to Alexis as both he, she, brother, sister. I’m not sure what you thought spamming the facebook tribute was supposed to prove, random idiot on

It’s neither fair, nor appropriate, nor decent, nor logical given the overwhelming evidence that the Arquette family supported all of Alexis’ transitions. Your doubts are based on nothing other than your own self involvement, nice try though.

There is very little about any of the acts of violence in horror (or other genre) movies that is common.

Ben Carson would stab his best friend and bash his own mother on the head with a hammer if they tried to get between him and his luggage.

I never played, but my friends did and I got sucked in by the lore and reading the codex’s/novels/wiki’s and what-not, so correct me if I’m wrong but wasn’t the captain sitting in the chair a Blood Angel or one of the the splinter chapters? Or is it normal for an Imperial Fist captain to wear red armour?

I don’t think anyone currently (or previously) writing or editing at Kotaku had anything to do with Peter Thiel or Hulk Hogan actually. But you stay mad bro.

How long ago was this time in which Gawker sites were less political? I’m legitimately curious because I’ve been around Gawker/io9/Gizmodo/deadspin/Kotaku for about 5 years now and they all seem to have about the same amount of left leaning opinions they always have had (perhaps with the exception of gizmodo). It

86
Properties=species:S:1:pos:R:3 method="wB97M-V/def2-TZVPD" charge=0 orbital_gap_ha=0.096 lumo_ev=-3.24 homo_ev=-5.8
O 2.408 -4.757 2.549
C -2.889 -1.130 -6.582
N -0.228 2.447 -2.441
C 0.967 2.260 1.049
C 3.089 2.941 4.013
H 0.266 1.598 1.522
C 2.129 2.787 -3.184
H -3.914 0.689 -3.367
C 1.403 -4.257 1.748
C -4.223 -0.893 -6.326
C -3.631 0.174 -4.270
H 1.304 5.474 -3.063
H 4.189 -3.945 5.291
H 2.098 1.830 -3.704
O 5.127 3.984 5.531
C 0.645 4.783 -2.542
O -5.063 -3.505 3.934
O 5.961 5.063 3.824
H -1.700 -4.568 0.977
H 1.541 3.204 -0.715
H -1.369 -0.007 -2.597
H -6.624 -4.782 4.229
H 2.819 3.440 -3.714
H 1.405 -5.307 4.944
C 3.010 3.652 1.336
H 3.928 -5.544 4.575
C -5.711 -4.718 3.635
C 0.725 3.380 -3.142
H -0.375 5.153 -2.634
H -0.245 0.162 -3.930
C 0.783 4.222 -5.600
H -0.937 1.443 -0.745
H -5.063 -5.555 3.891
C 2.094 2.444 3.214
H 1.662 -3.703 5.664
H -4.973 -1.207 -7.034
H -5.633 -0.041 -4.972
H -5.975 -4.745 2.578
N 0.190 3.437 -4.531
H 4.783 -4.296 3.668
C -3.317 -4.169 2.314
C 4.052 3.791 3.485
H -1.461 -0.901 3.082
N 5.108 4.309 4.329
C 2.018 2.786 1.849
O 1.474 -0.819 2.764
H -3.821 -5.093 2.096
H 2.538 2.603 -2.196
H -0.208 -2.824 0.204
H -3.592 -1.420 4.224
C -4.593 -0.242 -5.168
H 0.903 4.807 -1.488
C 1.502 -4.243 4.732
C -0.178 2.096 -1.130
C 0.812 2.552 -0.286
C 1.761 -2.018 2.759
H -2.595 -1.632 -7.489
C -1.927 -0.708 -5.689
O 2.762 -2.557 3.539
H 2.995 3.933 0.299
H 3.151 2.682 5.058
H 1.808 3.900 -5.771
C -3.173 -2.101 3.503
C -1.238 0.461 -3.578
H 1.359 1.769 3.618
C 4.004 4.140 2.142
O -1.582 2.596 -5.764
C -1.993 -1.811 2.859
H 0.567 -3.898 4.295
C -1.254 1.984 -3.423
H -0.072 -1.301 1.069
C -0.948 2.688 -4.736
C -0.184 -2.382 1.206
O 0.820 -4.937 0.903
H -0.882 -0.875 -5.893
C -1.465 -2.686 1.924
C -3.866 -3.285 3.243
H 0.783 5.277 -5.334
C 2.656 -3.989 3.755
H -2.236 2.323 -3.067
C 3.972 -4.477 4.367
C -2.287 -0.048 -4.524
H 0.210 4.085 -6.516
H 4.770 4.796 1.759
C 1.010 -2.895 1.918
C -2.136 -3.873 1.675

8
Properties=species:S:1:pos:R:3 method="wB97M-V/def2-TZVPD" charge=0 smiles="CP(=S)(Br)Br" orbital_gap_ha=0.324 lumo_ev=-0.70 homo_ev=-9.5
Br -0.883 -0.299 -2.318
C -0.508 0.709 0.865
H -1.252 1.246 0.298
H 0.320 1.325 1.194
S 0.524 -2.600 -0.062
Br 2.309 0.265 -1.101
P 0.398 -0.732 -0.530
H -0.907 0.086 1.654

27
Properties=species:S:1:pos:R:3 method="wB97M-V/def2-TZVPD" charge=0 smiles=Cc1ccc(O)cc1.CCC orbital_gap_ha=0.343 lumo_ev=0.85 homo_ev=-8.5
H -2.309 -2.411 1.780
C 0.340 -0.149 -2.104
H 3.590 -0.116 -1.015
H -0.688 0.195 1.185
H -1.610 0.449 -2.774
H -2.707 -0.849 2.527
H 2.317 1.757 -0.214
H -0.326 -1.007 3.616
C 2.743 -0.589 -1.522
H -1.999 3.068 -0.431
C 1.406 1.418 -0.706
C -2.245 -1.333 1.658
C 0.095 -1.211 2.622
C -0.817 0.619 -2.052
C 1.493 0.237 -1.414
H 1.067 -0.706 2.657
H -2.859 -1.038 0.822
H 2.620 -1.597 -1.137
H 0.294 -2.287 2.639
H 3.028 -0.608 -2.574
C 0.261 2.207 -0.600
C -0.864 1.777 -1.287
C -0.813 -0.850 1.463
H 0.177 -1.118 -2.564
H 0.331 3.079 0.039
O -2.044 2.472 -1.191
• Here the piece continues:

Before reading this article I knew absolutely nothing about the game, now I now that it’s a platforming title made by a small indie company over a period of 10 years that finally has a release date on Steam. I also watched a trailer. The game looks interesting. I went from knowing zilch about this game to possibly

Fuck your face, fuck face.

We currently do not have a word or equation large enough to represent the number. .....And sir? It appears to be... growing.

[Misplaced data records]
=====
Molecular formula: C34H30Cl2N4O5PRbS3Se2
Method: DFT, ωB97M-V/def2-TZVPD

The geometry in XYZ format:
```
82
Properties=species:S:1:pos:R:3:forces:R:3
Rb -0.5965 -0.6386 1.0009 -0.04 1.42 -0.13
Cl -3.8074 2.9274 7.8606 0.07 -0.04 -0.09
C -2.9087 2.5412 6.3991 0.03 -0.01 -0.05
C -2.6122 3.5726 5.4869 -0.05 0.08 0.05
C -1.9187 3.3056 4.3450 -0.09 0.11 0.08
Cl -1.5503 4.5868 3.2353 -0.03 -0.03 0.06
C -1.4587 1.9767 3.9830 -0.07 0.05 0.13
O -0.8279 1.7764 2.9332 0.32 -0.26 -0.34
C -1.7764 0.9682 4.9663 0.04 -0.33 0.11
C -1.3486 -0.4134 4.8121 0.01 0.30 -0.19
O -0.7247 -0.8951 3.8817 -0.02 -0.14 0.17
C -2.4908 1.2682 6.1414 -0.03 0.09 0.01
H -2.9333 4.5859 5.6903 -0.01 -0.01 0.02
H -1.6295 -1.0651 5.6686 -0.03 -0.01 0.01
H -2.7042 0.4684 6.8419 -0.01 0.00 0.01
Se -2.2730 4.0202 -1.1233 -0.04 0.02 0.01
P -1.1278 3.1556 -2.7041 0.03 -0.09 -0.06
Se -0.1642 1.2529 -2.4515 -0.01 0.02 0.04
C -2.1630 3.1264 -4.2338 -0.05 0.05 -0.02
C -2.3101 1.9800 -4.9999 0.01 0.00 -0.01
C -3.0949 1.9965 -6.1505 0.03 -0.01 0.04
C -3.7262 3.1636 -6.5485 0.01 0.02 0.06
C -3.5770 4.3191 -5.7858 0.00 -0.03 -0.03
C -2.8083 4.2966 -4.6352 0.02 0.00 0.04
C 0.1588 4.3507 -3.2686 0.01 0.05 0.01
C 0.4958 5.4608 -2.5074 0.00 0.00 -0.06
C 1.4709 6.3479 -2.9523 -0.03 -0.01 0.04
C 2.1080 6.1383 -4.1653 -0.03 -0.02 0.00
C 1.7769 5.0241 -4.9301 0.00 0.01 0.03
C 0.8143 4.1357 -4.4798 0.03 -0.03 -0.02
H -1.8003 1.0789 -4.6788 -0.02 -0.02 -0.01
H -3.2093 1.0893 -6.7315 -0.01 -0.01 -0.02
H -4.3405 3.1758 -7.4409 0.00 0.00 -0.02
H -4.0668 5.2376 -6.0871 -0.02 0.00 0.00
H -2.7136 5.1853 -4.0219 0.00 0.00 0.01
H -0.0260 5.6207 -1.5717 0.00 0.01 0.02
H 1.7269 7.2068 -2.3431 0.01 0.01 -0.01
H 2.8581 6.8375 -4.5154 0.02 -0.01 0.00
H 2.2759 4.8444 -5.8750 0.00 0.00 -0.01
H 0.5729 3.2570 -5.0663 -0.02 -0.01 0.00
C 2.1675 -5.1913 -1.4076 0.03 -0.10 -0.05
C 2.3028 -3.8051 -1.9415 -0.03 -0.06 0.03
C 2.5506 -3.3220 -3.2079 -0.06 0.06 0.02
C 2.4790 -1.9130 -3.0821 0.02 0.08 -0.01
N 2.2264 -1.5652 -1.8317 0.01 -0.15 0.02
N 2.1295 -2.7272 -1.1592 0.00 0.20 -0.04
C 2.6229 -0.8626 -4.1355 0.02 -0.04 -0.07
H 2.4991 -5.9110 -2.1559 0.00 0.00 0.01
H 1.1300 -5.4250 -1.1571 -0.02 0.04 -0.01
H 2.7649 -5.3375 -0.5058 0.01 0.03 0.01
H 2.7319 -3.9027 -4.0973 0.00 0.00 -0.02
H 1.8861 -2.7107 -0.1748 -0.01 0.01 0.07
H 3.4739 -1.0735 -4.7875 0.01 0.01 0.01
H 2.7544 0.1128 -3.6720 0.01 0.00 0.04
H 1.7279 -0.7978 -4.7574 -0.02 -0.04 0.01
S 3.6836 0.1763 1.3508 -0.06 0.06 0.13
C 3.1663 0.4202 2.8960 -0.02 -0.08 -0.13
N 2.0960 1.1091 3.2965 0.01 -0.16 -0.19
C 1.8787 1.2642 4.7217 0.03 0.05 -0.09
C 2.5328 0.0496 5.3612 -0.10 0.02 0.03
S 3.9827 -0.2613 4.3141 0.07 -0.02 0.03
H 1.4166 1.4357 2.6191 -0.05 0.17 0.18
H 0.8142 1.3224 4.9252 -0.04 -0.03 0.02
H 2.3607 2.1842 5.0714 -0.03 0.01 0.01
H 1.8699 -0.8145 5.3167 0.01 0.00 0.00
H 2.8317 0.2398 6.3898 0.03 -0.01 0.00
O -2.5030 -4.9553 -0.7014 -0.09 -0.05 -0.08
S -2.2824 -4.4810 0.6394 0.15 0.19 0.05
O -3.4430 -4.2109 1.4484 -0.08 -0.01 -0.04
=====
[Back to the text]

99% sure this guy isn’t Japanese, but you do you.